• Given:
- - -
# SrVSi2O7
Simulated X-ray powder pattern, copper Kα. Input: DFT lattice parameters and positions (PBE+U).
Kinematic intensities with the Lorentz-polarization factor, no thermal factor.

Crystal structure
a = 5.383 Å, b = 14.823 Å, c = 7.113 Å
α = 90.00°, β = 90.00°, γ = 90.00°
Space group Cmcm (No. 63)
One atom of each set of equivalent atoms:
Sr: 0.000 0.204 0.250 x4
V: 0.000 0.108 0.750 x4
Si: 0.000 0.392 0.524 x8
O: 0.000 0.003 0.250 x4
O: 0.000 0.363 0.750 x4
O: 0.000 0.500 0.000 x4
O: 0.249 0.153 0.561 x16

Peak list (10 most intense, 10 to 80 degrees two-theta, sorted by position)
- 2θ 11.94, intensity 20.4, (0 2 0)
- 2θ 24.01, intensity 25.8, (0 4 0)
- 2θ 27.13, intensity 26.7, (0 4 1)
- 2θ 27.53, intensity 100.0, (1 3 1)
- 2θ 30.73, intensity 91.2, (1 1 2)
- 2θ 33.29, intensity 34.5, (2 0 0)
- 2θ 38.58, intensity 20.3, (0 6 1)
- 2θ 42.10, intensity 30.8, (2 0 2)
- 2θ 43.46, intensity 27.5, (2 4 1)
- 2θ 45.41, intensity 20.4, (0 4 3)

=====

(1)
# Tl2Ag3Sn9
Simulated X-ray diffraction stick pattern, Cu Kα (λ = 1.5418 Å). Input: a DFT-relaxed cell (GGA-PBE, Alexandria).
Intensities are scaled so that the largest is 100.

Structural model:
Cell: 8.7297 8.7297 12.0016 Å, 111.14 111.14 61.68°
Sites, in units of the cell vectors:
Tl (0.0239, 0.2461, 0.2564)
Tl (0.2461, 0.0239, 0.7564)
Tl (0.7539, 0.9761, 0.2436)
Tl (0.9761, 0.7539, 0.7436)
Ag (0.0000, 0.5000, 0.0000)
Ag (0.1948, 0.6658, 0.5469)
Ag (0.3342, 0.8052, 0.9531)
Ag (0.5000, 0.0000, 0.5000)
Ag (0.6658, 0.1948, 0.0469)
Ag (0.8052, 0.3342, 0.4531)
Sn (0.0459, 0.8482, 0.0702)
Sn (0.1225, 0.5887, 0.2666)
Sn (0.1518, 0.9541, 0.4298)
Sn (0.1824, 0.3391, 0.5959)
Sn (0.3055, 0.4486, 0.9183)
Sn (0.3391, 0.1824, 0.0959)
Sn (0.4113, 0.8775, 0.2334)
Sn (0.4486, 0.3055, 0.4183)
Sn (0.4805, 0.5195, 0.7500)
Sn (0.5195, 0.4805, 0.2500)
Sn (0.5514, 0.6945, 0.5817)
Sn (0.5887, 0.1225, 0.7666)
Sn (0.6609, 0.8176, 0.9041)
Sn (0.6945, 0.5514, 0.0817)
Sn (0.8176, 0.6609, 0.4041)
Sn (0.8482, 0.0459, 0.5702)
Sn (0.8775, 0.4113, 0.7334)
Sn (0.9541, 0.1518, 0.9298)

Main lines, in order of rising 2θ (2θ = 5–70°):
Position (°2θ)  d (Å)  I_rel
31.26  2.861  29
31.58  2.833  19
31.74  2.819  66
32.02  2.796  50
32.13  2.786  55
32.35  2.767  18
35.03  2.562  100
35.97  2.496  60
48.77  1.867  14
50.26  1.815  15

(2)
# ZnInGa
Simulated X-ray diffraction stick pattern, Cu Kα (λ = 1.5418 Å). Input: a DFT-relaxed cell (GGA-PBE, Alexandria).
Intensities are scaled so that the largest is 100.

Structural model:
Cell: 3.2147 6.2374 6.3206 Å, 84.03 89.97 89.99°
Sites, in units of the cell vectors:
Zn (0.0000, 0.0000, 0.0000)
Zn (0.0000, 0.3826, 0.4556)
In (0.5002, 0.7874, 0.3288)
In (0.5007, 0.3821, 0.0500)
Ga (0.0017, 0.6825, 0.7431)
Ga (0.5010, 0.0844, 0.6547)

Main lines, in order of rising 2θ (2θ = 5–70°):
Position (°2θ)  d (Å)  I_rel
30.52  2.929  27
30.79  2.904  34
33.27  2.693  13
35.15  2.553  100
41.72  2.165  35
41.92  2.155  32
43.05  2.101  20
43.17  2.095  14
43.78  2.068  17
57.32  1.607  13

(3)
# Np2Si7Ru12
Simulated X-ray diffraction stick pattern, Cu Kα (λ = 1.5418 Å). Input: a DFT-relaxed cell (GGA-PBE, Alexandria).
Intensities are scaled so that the largest is 100.

Structural model:
Cell: 9.6097 9.6097 3.9140 Å, 90.00 90.00 120.00°
Sites, in units of the cell vectors:
Np (0.0000, 0.0000, 0.0000)
Np (0.3333, 0.6667, 0.5000)
Si (0.0601, 0.4326, 0.0000)
Si (0.2645, 0.2267, 0.5000)
Si (0.3725, 0.9399, 0.0000)
Si (0.5674, 0.6275, 0.0000)
Si (0.6667, 0.3333, 0.5000)
Si (0.7733, 0.0378, 0.5000)
Si (0.9622, 0.7355, 0.5000)
Ru (0.0351, 0.2627, 0.5000)
Ru (0.1082, 0.7129, 0.0000)
Ru (0.2276, 0.9649, 0.5000)
Ru (0.2871, 0.3953, 0.0000)
Ru (0.4545, 0.2243, 0.0000)
Ru (0.5173, 0.4618, 0.5000)
Ru (0.5382, 0.0555, 0.5000)
Ru (0.6047, 0.8918, 0.0000)
Ru (0.7373, 0.7724, 0.5000)
Ru (0.7698, 0.5455, 0.0000)
Ru (0.7757, 0.2302, 0.0000)
Ru (0.9445, 0.4827, 0.5000)

Main lines, in order of rising 2θ (2θ = 5–70°):
Position (°2θ)  d (Å)  I_rel
25.14  3.542  10
28.37  3.146  15
36.65  2.452  100
- - -

• Work order:
Filter the notes further up: keep the lines with the word "Crystal".

• Completed:
Crystal structure